Material =
┌──
Density functional theory data (r2SCAN) for a geometry-optimized CsLi2I3 structure.

a b c (Å): 4.595 4.595 10.816
angles (deg): 90.00 90.00 90.00
Space group P-4m2 (No. 115)
Symmetry-distinct sites (fractional):
Cs  0.000  0.000  0.000 [1 per cell]
Li  0.000  0.500  0.643 [2 per cell]
I  0.000  0.000  0.500 [1 per cell]
I  0.500  0.500  0.207 [2 per cell]

Properties
E_form = -9.11 eV/f.u.
size of the total moment = 0.0 Bohr magnetons per cell
E = -18.78 eV/atom

***

Density functional theory data (r2SCAN) for a geometry-optimized MnO2 structure.

a b c (Å): 2.8556 2.8556 27.6381
angles (deg): 90.00 90.00 120.00
Space group R-3m (No. 166, hexagonal axes)
Symmetry-distinct sites (fractional):
Mn  0.0000  0.0000  0.0000 [3 per cell]
Mn  0.0000  0.0000  0.5000 [3 per cell]
O  0.0000  0.0000  0.1323 [6 per cell]
O  0.0000  0.0000  0.2990 [6 per cell]

Properties
E_form = -5.93 eV/f.u.
size of the total moment = 18.0 Bohr magnetons per cell
E = -10.85 eV/atom

***

Density functional theory data (r2SCAN) for a geometry-optimized TlV12S16 structure.

a b c (Å): 3.375 9.329 15.871
angles (deg): 88.83 89.94 89.99
Space group P-1 (No. 2)
Symmetry-distinct sites (fractional):
Tl  0.000  0.000  0.000 [1 per cell]
V  0.247  0.310  0.823 [2 per cell]
V  0.248  0.568  0.938 [2 per cell]
V  0.249  0.613  0.742 [2 per cell]
V  0.250  0.070  0.439 [2 per cell]
V  0.250  0.114  0.246 [2 per cell]
V  0.251  0.806  0.325 [2 per cell]
S  0.249  0.373  0.674 [2 per cell]
S  0.250  0.002  0.664 [2 per cell]
S  0.250  0.296  0.350 [2 per cell]
S  0.250  0.828  0.480 [2 per cell]
S  0.251  0.501  0.166 [2 per cell]
S  0.251  0.797  0.847 [2 per cell]
S  0.254  0.328  0.981 [2 per cell]
S  0.254  0.871  0.175 [2 per cell]

Properties
E_form = -33.56 eV/f.u.
size of the total moment = 0.6 Bohr magnetons per cell
E = -13.25 eV/atom

***

Density functional theory data (r2SCAN) for a geometry-optimized Nb2CoO6 structure.

a b c (Å): 14.066 5.722 5.019
angles (deg): 90.00 90.00 90.00
Space group Pbcn (No. 60)
Symmetry-distinct sites (fractional):
Nb  0.158  0.181  0.247 [8 per cell]
Co  0.000  0.355  0.750 [4 per cell]
O  0.075  0.378  0.431 [8 per cell]
O  0.093  0.113  0.920 [8 per cell]
O  0.245  0.117  0.582 [8 per cell]

Properties
E_form = -21.31 eV/f.u.
size of the total moment = 4.0 Bohr magnetons per cell
E = -13.32 eV/atom

***

Density functional theory data (r2SCAN) for a geometry-optimized LiRh structure.

a b c (Å): 2.6523 2.6523 4.3266
angles (deg): 90.00 90.00 120.00
Space group P-6m2 (No. 187)
Symmetry-distinct sites (fractional):
Li  0.0000  0.0000  0.0000 [1 per cell]
Rh  0.6667  0.3333  0.5000 [1 per cell]

Properties
E_form = -0.37 eV/f.u.
size of the total moment = 0.5 Bohr magnetons per cell
E = -13.45 eV/atom

***

Density functional theory data (r2SCAN) for a geometry-optimized Ti5S8 structure.

a b c (Å): 11.552 6.878 8.240
angles (deg): 90.00 133.89 90.00
Space group C2/m (No. 12)
Symmetry-distinct sites (fractional):
Ti  0.000  0.000  0.000 [2 per cell]
Ti  0.000  0.264  0.500 [4 per cell]
Ti  0.244  0.500  0.990 [4 per cell]
S  0.036  0.000  0.331 [4 per cell]
S  0.041  0.500  0.333 [4 per cell]
S  0.208  0.250  0.170 [8 per cell]

Properties
E_form = -20.53 eV/f.u.
size of the total moment = 0.0 Bohr magnetons per cell
E = -11.50 eV/atom

***

Density functional theory data (r2SCAN) for a geometry-optimized Tm2InCu2 structure.

a b c (Å): 7.358 7.358 3.707
angles (deg): 90.00 90.00 90.00
Space group P4/mbm (No. 127)
Symmetry-distinct sites (fractional):
Tm  0.171  0.329  0.000 [4 per cell]
In  0.000  0.000  0.500 [2 per cell]
Cu  0.121  0.621  0.500 [4 per cell]

Properties
E_form = -2.30 eV/f.u.
size of the total moment = 0.6 Bohr magnetons per cell
E = -23.36 eV/atom

***
└──

Activity =
Please transcribe only the lines above with the word "P-1" in them.

Here it is =
Space group P-1 (No. 2)